Work order:
Your job: transcribe the whole of the rows further below with every line break kept.

Given:
The following is a r2SCAN calculation of a geometry-optimized MgSnPd2 structure, from Materials Project.

## Properties
The space group is Fm-3m, No. 225. For the calculated total energy, the calculation gives -19.37 eV per atom. For the energy of formation from the pure elements, the calculation gives -64.0 kJ/mol of atoms.

a = 4.5556 Å, b = 4.5556 Å, c = 4.5556 Å
α = 60.00°, β = 60.00°, γ = 60.00°
With the nearest neighbours (Å) after each atom.
Positions (direct):
Pd 0.5000 0.5000 0.5000  4 Mg 2.79, 4 Sn 2.79
Sn 0.7500 0.7500 0.7500  8 Pd 2.79
Pd 0.0000 0.0000 0.0000  4 Mg 2.79, 4 Sn 2.79
Mg 0.2500 0.2500 0.2500  8 Pd 2.79


The following is a r2SCAN calculation of a geometry-optimized BiSbPt structure, from Materials Project.

## Properties
The space group is P2_13, No. 198. For the calculated total energy, the calculation gives -45.63 eV per atom. For the energy of formation from the pure elements, the calculation gives -38.7 kJ/mol of atoms.

a = 6.6372 Å, b = 6.6371 Å, c = 6.6371 Å
α = 90.00°, β = 90.00°, γ = 90.00°
With the nearest neighbours (Å) after each atom.
Positions (direct):
Pt 0.9906 0.9906 0.9906  3 Sb 2.69, 3 Bi 2.80
Bi 0.6277 0.6277 0.6277  3 Pt 2.80, 1 Sb 2.92
Sb 0.1264 0.6264 0.8736  3 Pt 2.69, 1 Bi 2.92
Pt 0.5094 0.0094 0.4906  3 Sb 2.69, 3 Bi 2.80
Bi 0.3723 0.1277 0.8723  3 Pt 2.80, 1 Sb 2.92
Pt 0.4906 0.5094 0.0094  3 Sb 2.69, 3 Bi 2.80
Bi 0.1277 0.8723 0.3723  3 Pt 2.80, 1 Sb 2.92
Sb 0.8736 0.1264 0.6264  3 Pt 2.69, 1 Bi 2.92
Sb 0.3736 0.3736 0.3736  3 Pt 2.69, 1 Bi 2.92
Bi 0.8723 0.3723 0.1277  3 Pt 2.80, 1 Sb 2.92
Sb 0.6264 0.8736 0.1264  3 Pt 2.69, 1 Bi 2.92
Pt 0.0094 0.4906 0.5094  3 Sb 2.69, 3 Bi 2.80


The following is a r2SCAN calculation of a geometry-optimized TiBe2Pt structure, from Materials Project.

## Properties
The space group is Fm-3m, No. 225. For the calculated total energy, the calculation gives -18.90 eV per atom. For the energy of formation from the pure elements, the calculation gives -59.8 kJ/mol of atoms.

a = 4.0380 Å, b = 4.0380 Å, c = 4.0380 Å
α = 60.00°, β = 60.00°, γ = 60.00°
With the nearest neighbours (Å) after each atom.
Positions (direct):
Pt 0.5000 0.5000 0.5000  8 Be 2.47
Ti 0.0000 0.0000 0.0000  8 Be 2.47
Be 0.7500 0.7500 0.7500  4 Ti 2.47, 4 Pt 2.47
Be 0.2500 0.2500 0.2500  4 Pt 2.47, 4 Ti 2.47


The following is a r2SCAN calculation of a geometry-optimized Sm2As4O9 structure, from Materials Project.

## Properties
The space group is P-1, No. 2. For the calculated total energy, the calculation gives -13.71 eV per atom. For the energy of formation from the pure elements, the calculation gives -215.8 kJ/mol of atoms.

a = 6.8257 Å, b = 7.5855 Å, c = 9.6144 Å
α = 96.15°, β = 103.98°, γ = 104.49°
With the nearest neighbours (Å) after each atom.
Positions (direct):
Sm 0.2783 0.4677 0.5926  7 O 2.34-2.54
O 0.2756 0.2509 0.7538  1 As 1.74
As 0.3219 0.2280 0.9361  3 O 1.74-1.85
As 0.1766 0.7590 0.9183  3 O 1.73-1.85
O 0.6332 0.1038 0.6442  2 As 1.87-1.90
O 0.3726 0.5397 0.3726  1 As 1.73
O 0.3668 0.8962 0.3558  2 As 1.87-1.90
Sm 0.7519 0.0578 0.3804  8 O 2.34-2.59
O 0.8431 0.8706 0.5609  1 As 1.78
O 0.1309 0.6606 0.7382  1 As 1.73
As 0.2514 0.0793 0.2860  3 O 1.73-1.87
As 0.6781 0.7720 0.0639  3 O 1.74-1.85
O 0.9085 0.3319 0.5519  1 As 1.79
O 0.0915 0.6681 0.4481  1 As 1.79
O 0.7244 0.7491 0.2462  1 As 1.74
O 0.6274 0.4603 0.6274  1 As 1.73
O 0.3172 0.9844 0.8839  2 As 1.85
As 0.8084 0.3508 0.7069  3 O 1.73-1.90
O 0.4959 0.7744 0.6716  1 As 1.73
As 0.7486 0.9207 0.7140  3 O 1.73-1.87
O 0.3953 0.6802 0.0082  2 As 1.80-1.81
O 0.5041 0.2256 0.3284  1 As 1.73
As 0.1916 0.6492 0.2931  3 O 1.73-1.90
O 0.6047 0.3198 0.9918  2 As 1.80-1.81
Sm 0.2481 0.9422 0.6196  8 O 2.34-2.59
As 0.8234 0.2410 0.0817  3 O 1.73-1.85
Sm 0.7217 0.5323 0.4074  7 O 2.34-2.54
O 0.6828 0.0156 0.1161  2 As 1.85
O 0.8691 0.3394 0.2618  1 As 1.73
O 0.1569 0.1294 0.4391  1 As 1.78


The following is a r2SCAN calculation of a geometry-optimized Zn2PdPt structure, from Materials Project.

## Properties

Result:
The following is a r2SCAN calculation of a geometry-optimized MgSnPd2 structure, from Materials Project.

## Properties
The space group is Fm-3m, No. 225. For the calculated total energy, the calculation gives -19.37 eV per atom. For the energy of formation from the pure elements, the calculation gives -64.0 kJ/mol of atoms.

a = 4.5556 Å, b = 4.5556 Å, c = 4.5556 Å
α = 60.00°, β = 60.00°, γ = 60.00°
With the nearest neighbours (Å) after each atom.
Positions (direct):
Pd 0.5000 0.5000 0.5000  4 Mg 2.79, 4 Sn 2.79
Sn 0.7500 0.7500 0.7500  8 Pd 2.79
Pd 0.0000 0.0000 0.0000  4 Mg 2.79, 4 Sn 2.79
Mg 0.2500 0.2500 0.2500  8 Pd 2.79


The following is a r2SCAN calculation of a geometry-optimized BiSbPt structure, from Materials Project.

## Properties
The space group is P2_13, No. 198. For the calculated total energy, the calculation gives -45.63 eV per atom. For the energy of formation from the pure elements, the calculation gives -38.7 kJ/mol of atoms.

a = 6.6372 Å, b = 6.6371 Å, c = 6.6371 Å
α = 90.00°, β = 90.00°, γ = 90.00°
With the nearest neighbours (Å) after each atom.
Positions (direct):
Pt 0.9906 0.9906 0.9906  3 Sb 2.69, 3 Bi 2.80
Bi 0.6277 0.6277 0.6277  3 Pt 2.80, 1 Sb 2.92
Sb 0.1264 0.6264 0.8736  3 Pt 2.69, 1 Bi 2.92
Pt 0.5094 0.0094 0.4906  3 Sb 2.69, 3 Bi 2.80
Bi 0.3723 0.1277 0.8723  3 Pt 2.80, 1 Sb 2.92
Pt 0.4906 0.5094 0.0094  3 Sb 2.69, 3 Bi 2.80
Bi 0.1277 0.8723 0.3723  3 Pt 2.80, 1 Sb 2.92
Sb 0.8736 0.1264 0.6264  3 Pt 2.69, 1 Bi 2.92
Sb 0.3736 0.3736 0.3736  3 Pt 2.69, 1 Bi 2.92
Bi 0.8723 0.3723 0.1277  3 Pt 2.80, 1 Sb 2.92
Sb 0.6264 0.8736 0.1264  3 Pt 2.69, 1 Bi 2.92
Pt 0.0094 0.4906 0.5094  3 Sb 2.69, 3 Bi 2.80


The following is a r2SCAN calculation of a geometry-optimized TiBe2Pt structure, from Materials Project.

## Properties
The space group is Fm-3m, No. 225. For the calculated total energy, the calculation gives -18.90 eV per atom. For the energy of formation from the pure elements, the calculation gives -59.8 kJ/mol of atoms.

a = 4.0380 Å, b = 4.0380 Å, c = 4.0380 Å
α = 60.00°, β = 60.00°, γ = 60.00°
With the nearest neighbours (Å) after each atom.
Positions (direct):
Pt 0.5000 0.5000 0.5000  8 Be 2.47
Ti 0.0000 0.0000 0.0000  8 Be 2.47
Be 0.7500 0.7500 0.7500  4 Ti 2.47, 4 Pt 2.47
Be 0.2500 0.2500 0.2500  4 Pt 2.47, 4 Ti 2.47


The following is a r2SCAN calculation of a geometry-optimized Sm2As4O9 structure, from Materials Project.

## Properties
The space group is P-1, No. 2. For the calculated total energy, the calculation gives -13.71 eV per atom. For the energy of formation from the pure elements, the calculation gives -215.8 kJ/mol of atoms.

a = 6.8257 Å, b = 7.5855 Å, c = 9.6144 Å
α = 96.15°, β = 103.98°, γ = 104.49°
With the nearest neighbours (Å) after each atom.
Positions (direct):
Sm 0.2783 0.4677 0.5926  7 O 2.34-2.54
O 0.2756 0.2509 0.7538  1 As 1.74
As 0.3219 0.2280 0.9361  3 O 1.74-1.85
As 0.1766 0.7590 0.9183  3 O 1.73-1.85
O 0.6332 0.1038 0.6442  2 As 1.87-1.90
O 0.3726 0.5397 0.3726  1 As 1.73
O 0.3668 0.8962 0.3558  2 As 1.87-1.90
Sm 0.7519 0.0578 0.3804  8 O 2.34-2.59
O 0.8431 0.8706 0.5609  1 As 1.78
O 0.1309 0.6606 0.7382  1 As 1.73
As 0.2514 0.0793 0.2860  3 O 1.73-1.87
As 0.6781 0.7720 0.0639  3 O 1.74-1.85
O 0.9085 0.3319 0.5519  1 As 1.79
O 0.0915 0.6681 0.4481  1 As 1.79
O 0.7244 0.7491 0.2462  1 As 1.74
O 0.6274 0.4603 0.6274  1 As 1.73
O 0.3172 0.9844 0.8839  2 As 1.85
As 0.8084 0.3508 0.7069  3 O 1.73-1.90
O 0.4959 0.7744 0.6716  1 As 1.73
As 0.7486 0.9207 0.7140  3 O 1.73-1.87
O 0.3953 0.6802 0.0082  2 As 1.80-1.81
O 0.5041 0.2256 0.3284  1 As 1.73
As 0.1916 0.6492 0.2931  3 O 1.73-1.90
O 0.6047 0.3198 0.9918  2 As 1.80-1.81
Sm 0.2481 0.9422 0.6196  8 O 2.34-2.59
As 0.8234 0.2410 0.0817  3 O 1.73-1.85
Sm 0.7217 0.5323 0.4074  7 O 2.34-2.54
O 0.6828 0.0156 0.1161  2 As 1.85
O 0.8691 0.3394 0.2618  1 As 1.73
O 0.1569 0.1294 0.4391  1 As 1.78


The following is a r2SCAN calculation of a geometry-optimized Zn2PdPt structure, from Materials Project.

## Properties